The Terra II class is a large cruiser, designed to kill ships and act as a command ship in battle
With it becoming painfully obviuos that the mars destroyers would not be enough to hold back the Drathonian storm, something bigger was needed, and it needed to be large enough to hold the new Solaris cannons, the largest guns designed by Terran engineers. After Drathonian tactics changed in response to the initial Terra class, It was realized that a different ship would be really needed. The Original Terra class had been an all-purpose ship, with a lot of space dedicated to troop carrying, and not enough dedicated to actual space combat. Emphasis was put on making the Terra II capable of engaging as many enemies at once as possible, instead of relying too heavily on the Solaris cannons, whose overwhelming advantage was defeated by simple change in tactics.
Bridge: Hidden inside the ship Body: Extremely heavy Engines: Extremely heavy Countermeasure/shield pods:Extremely heavy Shields:main- Extremely heavy Secondary- Heavy third- Medium
With the removal of most of the Marines based on the ship, A main armory was less of a necessity, and was replaced instead with several smaller armories spaced around the ship, on every deck. These armories are small and mostly contain small weaponry, such as handguns and submachine guns. On the Hangar deck, there is a larger armory, to centralize the weapons of the few marine squadrons left on the ship, as well as to help with staging of invasions on the hangar deck.
Calculated molecules that have nothing to do with the article.
- - -
# 1
- - -
The Bridge is a large room, moved from its original position on the nose section of the ship to be a buried central command center within the structure. It contains 15 stations, Including the Command chair, the first officer's seat, communications, weapons control, and several other stations.
The middle decks contain a large item storage area for storing all the food and clothing needed to be used on the ship. The bottommost level contains raw material storage for the replicator's use. The hangar may double as cargo storage in an emergency.
The bunking of crew has been completely reorganized, shifting away from the large communal rooms for enlisted and the slightly smaller private rooms for officers. Efforts have been made to provide more comfort while consolidating the smaller numbers of standard crew. Higher-ranked officers retain their normal sized rooms, where as junior officers stay in shared rooms which hold two each. these rooms are stocked with everything the officers need, and are very comfortable. Enlisted are switched from staying in barracks to staying in bunk rooms, the same size as junior officer quarters, for people are put in each as opposed to two.
The layout of these rooms has been changed with the change in the number and height of decks, allowing them to be two-story affairs reached from a central door. Stairs lead up and down from these doors into quarters rooms, allowing for twice as many rooms to be on each deck. This is done at the cost of armor plating between decks in these areas, but placed deeply in the ship, it does not matter.
there is a gym located on the middle deck of the ship it contains weight rooms, excercise machines, and small sports arena things for recreation.
the main engineering section has a second set of controls for the ship, and has acess into every system of the ship. it is located near the engines for ease of access. There are smaller engineering sections based around the ship which consolidate tools and emergency equipment where it is most likely to be needed, to keep Engineers from having to lug heavy equipment all around the ship.
The article is interrupted by quantum chemistry results:
# 1
111
Properties=species:S:1:pos:R:3 method="wB97M-V/def2-TZVPD" lumo_energy_ha=-0.0267 total_energy_ha=-4424.6786 homo_ev=-6.7 orbital_gap_ev=5.9400 smiles="CC[C@H](F)[C@](O)(O[C@@H](CC(=O)I)P(O)Cl)[C@H](O[C@H](I)c1ccccn1)P(C)C.O=C1CCCO1.O=C1CCCO1.O=C1CCCO1.O=C1CCCO1.O=C1CCCO1"
I -1.463 -3.215 -0.542
I -0.250 0.142 1.448
Cl 0.528 2.376 -4.104
P 0.500 5.141 -0.762
P -1.518 1.825 -3.656
F -2.134 5.143 1.170
O 3.223 -4.188 3.296
O -5.855 2.663 -1.542
O 0.394 3.174 1.129
O -2.665 -4.963 -6.661
O 5.305 3.288 0.625
O -3.969 -3.478 -5.510
O 3.491 -2.015 2.635
O -0.155 -1.668 -2.833
O 6.111 1.209 0.117
O -6.123 0.490 -0.880
O -1.884 0.606 -4.844
O 0.412 -5.754 3.655
O -2.180 1.926 -0.865
O -0.643 -3.812 3.067
O -1.965 4.311 -1.535
N 0.939 2.392 3.954
C -2.353 3.714 0.857
C -2.892 -4.016 -5.704
C -0.014 3.319 -0.289
C -1.200 -1.559 -2.007
C 3.372 1.443 2.879
C -1.613 3.228 -0.566
C 2.953 -5.422 2.633
C -1.330 -5.449 -6.531
C 1.558 5.166 -2.354
C 6.228 2.493 0.567
C 2.854 -3.706 1.026
C -4.593 2.174 1.292
C -1.283 -3.086 5.188
C 7.633 2.757 1.016
C -0.116 -4.698 3.962
C -7.105 -0.365 -2.816
C -3.997 3.559 0.586
C 8.392 1.628 0.366
C -1.477 1.148 -1.874
C -6.393 -0.744 -1.544
C 7.357 0.536 0.290
C 1.347 6.022 0.705
C -6.492 0.972 -3.151
C -0.582 -4.367 -5.798
C -1.645 -3.776 -4.907
C -2.275 -0.323 -1.940
C 3.211 -3.175 2.381
C -1.076 -2.645 3.763
C -0.242 -4.163 5.356
C 1.108 1.911 1.367
C 4.186 1.363 4.288
C -6.135 1.503 -1.796
C 2.241 -5.042 1.361
C 1.846 1.925 2.873
C 1.722 2.297 5.218
C 3.221 1.815 5.521
H -5.580 0.864 -3.745
H 1.906 1.641 0.542
H 1.102 2.645 6.180
H -4.483 4.450 1.207
H 2.515 5.963 0.543
H 7.534 -0.136 -0.555
H -1.721 -4.309 -3.955
H 3.629 1.789 6.627
H 9.291 1.333 0.913
H -8.176 -0.238 -2.618
H 2.139 -3.052 0.522
H 2.334 -6.057 3.273
H 7.676 2.701 2.108
H -2.283 -3.522 5.300
H 0.674 2.646 -0.950
H -2.740 3.941 -2.061
H 7.983 3.731 0.665
H 7.309 -0.055 1.210
H 0.990 5.653 1.758
H -1.482 -2.709 -4.742
H -1.189 -2.269 5.910
H 5.291 0.996 4.404
H -4.284 3.641 -0.545
H 2.263 4.243 -2.500
H -0.362 0.852 -1.604
H -0.908 -5.636 -7.523
H -7.013 -1.379 -0.903
H -0.235 -3.608 -6.509
H -3.117 -0.347 -2.752
H 3.903 -5.930 2.442
H -2.833 -0.426 -0.890
H 1.170 -4.915 1.559
H -2.130 2.974 1.751
H -1.999 -2.268 3.314
H 0.289 -4.740 -5.251
H -3.881 1.721 2.104
H 2.352 -5.786 0.567
H -5.443 -1.253 -1.735
H 1.045 7.169 0.627
H 2.170 6.175 -2.421
H 3.766 -3.814 0.432
H -7.207 1.626 -3.655
H 0.722 -3.752 5.669
H -1.385 -0.237 -4.635
H -6.994 -1.108 -3.609
H 3.910 1.145 1.876
H 8.694 1.924 -0.647
H -5.637 2.353 1.829
H -4.669 1.351 0.432
H -1.354 -6.391 -5.973
H -0.300 -1.877 3.674
H -0.575 -4.939 6.048
H 0.814 5.192 -3.287

***

# 2
17
Properties=species:S:1:pos:R:3 method="wB97M-V/def2-TZVPD" lumo_energy_ha=0.0309 total_energy_ha=-401.1123 homo_ev=-9.5 orbital_gap_ev=10.3694 smiles="C[C@@H]1N=C[C@H](O)[C@H]1O"
O 2.676 -0.007 0.464
O 0.178 2.114 -0.230
N -0.349 -1.532 -0.315
C 0.923 -1.383 -0.321
C -0.893 -0.159 -0.332
C -2.146 -0.135 0.471
there are maintenence conduits going through many corridoers to important parts of the ship. The largest ones are called warp conduits and carry energy to the engines from the main generators and any backup generators that are turned on.
There are several medical centers and laboratories about the ship, placed near hazardous areas where people are likely to get hurt. There is a Main medical center placed on the deck above the Hangar, allowing for patients coming into the ship to have a place to go quickly. It is reached from the hangar deck by several lifts and elevators, as well as stairwells in case the first two are out of service. The Medical center is nearly as large as a hospital, and has the capacity to treat half the crew at any given time. The Hospital is two storeys tall, but only takes up a single deck.
the walkways are bare looking, but in no way plain. The carpet is dark and consists of greens blues and blacks, and the walls are different colors on each level, to aid in telling them apart.
The hangar deck has taken over the entire central bottom section of the ship, moving into the space formerly occupied by the medical center, as well as some barracks that had been moved. With the change in the amount of decks and the space between them, The Hangar deck was given special attention, as it would become a staging area for operations, as well as a place to store fighters, and even bring small support ships along, which, due to their much slower nature, would have been unable to arrive with the Terra under their own power at many battles.
The text is interrupted by records of molecules.
........
No. 1
Entry from the Open Molecules 2025 dataset: a structure of composition C22H28BaN6O7S2 in a non-equilibrium geometry (ωB97M-V/def2-TZVPD).

Geometry (Å):
Ba: -0.151 -0.271 0.433
O: -0.180 -4.161 2.745
S: -1.119 -3.125 3.074
O: -0.935 -2.485 4.359
N: -1.195 -2.009 1.906
C: -2.420 -1.939 1.338
O: -2.696 -1.144 0.424
C: -3.392 -2.920 1.920
C: -4.715 -3.114 1.576
C: -5.426 -4.090 2.262
C: -4.822 -4.848 3.264
C: -3.490 -4.650 3.608
C: -2.801 -3.677 2.916
H: -5.167 -2.515 0.796
H: -6.466 -4.268 2.018
H: -5.401 -5.603 3.781
H: -3.012 -5.232 4.385
C: 4.938 3.408 0.737
C: 3.809 3.131 -0.249
C: 2.755 4.241 -0.148
C: 4.364 3.066 -1.667
N: 3.281 1.807 0.122
N: 2.157 1.357 -0.627
H: 5.422 4.358 0.507
H: 5.682 2.610 0.685
H: 4.555 3.459 1.760
H: 3.215 5.214 -0.333
H: 2.309 4.257 0.850
H: 1.954 4.120 -0.881
H: 4.851 4.006 -1.929
H: 3.571 2.888 -2.398
H: 5.095 2.258 -1.741
H: 3.032 1.793 1.104
H: 2.498 0.873 -1.449
H: 1.563 2.120 -0.946
S: 2.183 0.036 2.804
C: 2.641 -0.934 4.135
N: 3.938 -0.974 4.496
C: 4.466 -1.760 5.605
C: 3.583 -2.976 5.811
C: 2.148 -2.516 5.958
N: 1.785 -1.658 4.839
H: 4.551 -0.396 3.947
H: 4.500 -1.160 6.519
H: 5.485 -2.056 5.363
H: 3.897 -3.524 6.698
H: 3.666 -3.639 4.947
H: 2.017 -1.979 6.900
H: 1.464 -3.363 5.958
H: 0.808 -1.642 4.571
O: -1.001 1.816 -0.689
C: -1.018 1.231 -1.813
O: -0.503 0.089 -2.022
C: -1.678 1.938 -2.967
C: -1.846 1.280 -4.179
C: -2.446 1.928 -5.243
C: -2.862 3.237 -5.077
C: -2.704 3.910 -3.879
C: -2.111 3.248 -2.819
N: -3.495 3.941 -6.216
O: -3.860 5.086 -6.038
O: -3.694 3.307 -7.233
H: -1.498 0.260 -4.270
H: -2.595 1.443 -6.197
H: -3.046 4.930 -3.795
H: -1.980 3.736 -1.862

Values from the calculation:
net charge: 0
E_LUMO: -0.358 eV



No. 2
Entry from the Open Molecules 2025 dataset: a structure of composition C22H28BeN4OP (ωB97M-V/def2-TZVPD).

Geometry (Å):
Be: 0.358 0.195 -0.049
C: -4.225 -2.623 1.401
C: -3.966 -2.652 0.035
C: -3.066 -1.761 -0.530
C: -2.407 -0.824 0.263
C: -2.712 -0.766 1.622
C: -3.603 -1.670 2.192
N: -1.444 0.068 -0.286
C: -1.871 1.121 -0.981
C: -3.223 1.438 -1.321
C: -3.488 2.568 -2.030
C: -2.467 3.473 -2.456
C: -1.173 3.221 -2.145
C: -0.863 2.051 -1.405
N: 0.365 1.698 -0.966
N: 1.387 2.392 -1.266
C: 2.546 1.893 -0.659
C: 3.776 2.465 -0.975
C: 4.899 1.999 -0.327
C: 4.772 0.981 0.618
C: 3.514 0.464 0.852
N: 2.419 0.901 0.221
H: -4.923 -3.323 1.839
H: -4.473 -3.372 -0.595
H: -2.884 -1.765 -1.597
H: -2.300 0.034 2.232
H: -3.827 -1.610 3.249
H: -4.020 0.775 -1.014
H: -4.517 2.798 -2.280
H: -2.738 4.358 -3.015
H: -0.371 3.884 -2.436
H: 3.811 3.262 -1.704
H: 5.870 2.425 -0.542
H: 5.626 0.606 1.162
H: 3.366 -0.325 1.581
C: 0.121 -2.570 -2.167
P: 1.178 -1.647 -1.014
C: 1.533 -2.889 0.274
C: 2.733 -1.523 -1.950
H: 0.672 -3.420 -2.571
H: -0.197 -1.926 -2.987
H: -0.760 -2.931 -1.643
H: 2.006 -3.766 -0.169
H: 0.600 -3.193 0.752
H: 2.192 -2.476 1.036
H: 3.030 -2.516 -2.286
H: 3.526 -1.102 -1.334
H: 2.594 -0.880 -2.819
C: 0.358 0.663 4.028
C: 0.413 1.152 2.602
O: 0.320 0.025 1.680
........
End of the records of molecules.
The New Hangar system allows the Terra to carry up to 200,000 Scimitar fighters, but, with obviously nowhere near that many people on board, it only carries 5,000, 800 of which are reserve and do not have dedicated pilots, but are rather to allow a pilot to quickly switch out of a damaged ship during battle. The remainder of the space is left for allowing corvette-sized and smaller classes inside, the 400 foot tall, 750 foot wide bay doors allowing them access. These doors, on top of the normal magcon fields, also have armored sliding door sections, allowing the Terra to close itself up during transit, and to close itself up once its support ships have been launched, with smaller sub-doors allowing fighters and shuttles to continue to pass in and out.
In response to the much larger bay, more replicator systems were added, bumping the single replicator to a much more serviceable number of 15. The Boarding pod system was removed, the pods themselves dangerous and the mass drivers that launched them using power that was better utilized in more turbolazer batteries. Instead, boardings are to be done using specially designed heavy assault shuttles, of which the Terra II can hold 20.
The Brig is a small section placed near the outer section of one of the upper decks. It contains jail cells and is self-contained, meaning that, if necesary, it could be vented. It is the place where soldiers are sent after an infraction, as well as prisoners of war.
The hull has extremely havy plating, capable of shrugging off most solid weapons and many energy weapons. It has a multilayer shield generator in one of it's pylons and a communications/countermeasures pod on the other
The ship has an AI supported by an ASIAN unit as the ship's avatar. these units can either be set as the ship's commander or as an aide to the commander, and excell in both fields.
The ship contains enough escape pods for 300 people. fighters, shuttles and boarding pods may also be utilised to abandon ship. if there is enough time, more escape pods can be made in the hangar bay at a rate of one every 10
minutes per replicator.
there is a life support system throughout the ship that constantly cleans and recycles air. It utilises a photosynthesis like process to clean the air and create sugars which may be used on foods.
The warp drive allows the ship to move many times the speed of light. during battle, the warp drive allows the ship to change it's direction of travel almost immediately by use of warp conduit output ports on every side of the ship.
The Main STL propulsion is provided by a pair of absolutely monstrous Energon diffusion thrusters, which convert the energy from the Energon drives directly into an extremely powerful high-speed plasma. Ships traveling too close behind the Terra II can be damaged or even destroyed by the thruster wash.
The ship is powered by an Energon drive, the largest in exestence, capable of producing enough power in one minute to light up an entire planet full of lightbulbs for five years.
The Terra class battlecruiser has an extremely formiddable multi-layered Plutanovicz shield system, made to be superior to any system the drathonians have, barring the enormous one on DEMONIX.
The Terra's Shield system is extremely powerful and specialized, projecting three independednt layers, each layer made of a network of hexagonal shield sections, which rotate around the ship in a fairly random order, allowing damaged shield sections to be moved out of the way. These grid sections may additionally be turned off individually, allowing the ship to fire through the shield without having to completely turn it off.
Solaris cannons (2): The primary weapons are two side mounted Solaris cannons. A cannon more powerful than the Solaris is under development, but will not be available for some time. Primary Purpose: Anti-Warship Range: 93,000,000 Miles ( 1 Astronomical Unit ) Damage: Extremely Heavy. Destroys almost everything in its path. Vessels just outside of this radius may be destroyed or damaged by the leakage of the beam. Rate of Fire:The Solaris cannons must be charged before firing. this charging process takes approximately fifteen minutes per cannon. Payload: Effectively Unlimited. Will function so long as the ship provides power Notes: Shields must be down for this cannon to fire.
Medium laser arrays (180 ): Midway between Pulse and Turbolasers, Medium laser arrays are potent multi-purpose weapons, which can be used for both defensive and offensive purposes range: 5,000 miles Damage: High Rate of fire: 5 pulses a second Payload: unlimited as long as the ship provides power
Turbolaser Arrays (12): These weapons are quad-barreled anti-starship shield penetrating weapons. They can also be anti-shuttle or used as an active countermeasure against solid projectile ammunitions. These cannons are a vast improvement over the old versions, with increased range and fire output due to the re-routing of power from the Solaris cannons and the old hangar-mounted mass drivers. Range: 20,000 miles Damage: Heavy. Does heavy damage to anything touched by the beam. Damages both shields and armor Rate of fire: 2 shots every 5 seconds Payload: Unlimited, as long as the ship provides power Notes: only requires a small portion of the shield to deactivate to be fired.
Neck-mounted Torpedo tubes (4): These tubes are forward-facing fixed tubes which fire self-correcting heavy anti-ship torpedos. They can also be used for orbital bombardment. Range: 1 AU Damage: Heavy. Payload: 12 per tube Notes: there are Several kinds of Torpedos, depending on the desired effect. One is your standard Nuclear warhead, another an antimatter warhead, a third an EMP torpedo, and a fourth flechette-type torpedo meant for anti-fighter/shuttle/support ship duties.
Pulse laser arrays(400): these weapons are the best defense against fighters, projectile weapons, boarding pods and shuttles available. they are placed all over the hull under panels, and come out when needed. range: 50 miles Damage: medium. can hurt both shields and armor, the pulse type shot can be calibrated to specific wavelengths to allow instant deactivation of fighter shields, like an EMP pulse. Rate of fire: between 10 and 35 pulses per second Payload: unlimited as long as the ship provides power Notes: only used on things inside the ships shields unless in an emergency.
350 Squadrons (4200) Scimtars, + 800 backup 20 Squadrons (240) Shamshir 10 Hex Corvettes 10 Glaive Corvettes 5 UC-77 Cherry-pickers